**What to do:**
It remains to quote everything further below without altering anything.

**Listing:**
/*
DFT (SCAN) results for a PBEsol-optimized structure of Sr3Li.

Structure (extended XYZ):
```
8
Lattice="6.5016 0.0000 0.0000 0.0000 7.8995 0.0000 0.0000 0.0000 7.0699" Properties=species:S:1:pos:R:3 pbc="T T T"
Sr 1.6254 0.0102 1.1072
Sr 1.6254 3.9395 1.1072
Sr 1.6254 5.9246 4.5224
Sr 4.8762 1.9749 2.5476
Sr 4.8762 3.9600 5.9627
Sr 4.8762 7.8893 5.9627
Li 1.6254 1.9749 4.7763
Li 4.8762 5.9246 2.2936
```

Summary:
total magnetic moment: 0.6 μB per cell
E above lowest polymorph: 55 meV/atom
volume: 182 Å³/f.u.

***

DFT (SCAN) results for a PBEsol-optimized structure of Ir2Rh.

Structure (extended XYZ):
```
12
Lattice="5.3882 0.0000 0.0000 0.0000 3.8132 0.0000 0.0000 0.0000 8.0827" Properties=species:S:1:pos:R:3 pbc="T T T"
Ir 0.6746 0.9533 0.6727
Ir 0.6763 0.9533 6.0767
Ir 2.0178 2.8599 2.0354
Ir 2.0195 2.8599 4.7141
Ir 3.3688 0.9533 3.3686
Ir 3.3704 0.9533 6.0473
Ir 4.7119 2.8599 2.0060
Ir 4.7136 2.8599 7.4099
Rh 0.6723 0.9533 3.3543
Rh 2.0218 2.8599 7.3956
Rh 3.3664 0.9533 0.6870
Rh 4.7160 2.8599 4.7284
```

Summary:
total magnetic moment: 0.0 μB per cell
E above lowest polymorph: 7 meV/atom
volume: 42 Å³/f.u.

***

DFT (SCAN) results for a PBEsol-optimized structure of InCuRh.

Structure (extended XYZ):
```
3
Lattice="4.2322 0.0000 0.0000 -2.1161 3.6652 0.0000 0.0000 0.0000 2.9037" Properties=species:S:1:pos:R:3 pbc="T T T"
In 0.0000 0.0000 0.0000
Cu 2.1161 1.2217 0.7084
Rh 0.0000 2.4435 1.6689
```

Summary:
total magnetic moment: 0.0 μB per cell
E above lowest polymorph: 37 meV/atom
volume: 45 Å³/f.u.

***

DFT (SCAN) results for a PBEsol-optimized structure of HoCuSn.

Structure (extended XYZ):
```
6
Lattice="4.4604 0.0000 0.0000 -2.2302 3.8628 0.0000 0.0000 0.0000 7.1136" Properties=species:S:1:pos:R:3 pbc="T T T"
Ho 0.0000 0.0000 0.0000
Ho 0.0000 0.0000 3.5568
Cu 0.0000 2.5752 1.2548
Cu 2.2302 1.2876 4.8116
Sn 0.0000 2.5752 5.4723
Sn 2.2302 1.2876 1.9155
```

Summary:
total magnetic moment: 0.0 μB per cell
volume: 61 Å³/f.u.

***

DFT (SCAN) results for a PBEsol-optimized structure of FeMoRh2.

Structure (extended XYZ):
```
4
Lattice="2.6855 0.0000 0.0000 0.0000 3.7164 0.0000 0.0000 0.0000 5.3455" Properties=species:S:1:pos:R:3 pbc="T T T"
Fe 0.0000 0.0000 0.0000
Mo 0.0000 0.0000 2.6727
Rh 1.3427 1.8582 1.2974
Rh 1.3427 1.8582 4.0480
```

Summary:
total magnetic moment: 2.8 μB per cell
E above lowest polymorph: 12 meV/atom
volume: 53 Å³/f.u.

***

DFT (SCAN) results for a PBEsol-optimized structure of YAl2Sb.

Structure (extended XYZ):
```
4
Lattice="0.0000 3.5602 3.5602 3.5602 0.0000 3.5602 3.5602 3.5602 0.0000" Properties=species:S:1:pos:R:3 pbc="T T T"
Y 0.0000 0.0000 0.0000
Al 1.7801 1.7801 1.7801
Al 3.5602 3.5602 3.5602
Sb 5.3403 5.3403 5.3403
```

Summary:
total magnetic moment: 0.0 μB per cell
volume: 90 Å³/f.u.
formation energy (no corrections): -0.40 eV per formula unit

***

DFT (SCAN) results for a PBEsol-optimized structure of CdIn2Te4.

Structure (extended XYZ):
```
7
Lattice="-3.1111 3.1111 6.1992 3.1111 -3.1111 6.1992 3.1111 3.1111 -6.1992" Properties=species:S:1:pos:R:3 pbc="T T T"
Cd 0.0000 0.0000 0.0000
In 0.0000 0.0000 6.1992
In 0.0000 3.1111 3.0996
Te 1.7319 -1.3619 4.4689
Te 1.7492 1.3792 1.7303
Te 1.3792 4.4730 -1.7303
Te 1.3619 1.7319 7.9295
```

Summary:
total magnetic moment: 0.0 μB per cell
volume: 240 Å³/f.u.
formation energy (no corrections): -2.87 eV per formula unit

***

DFT (SCAN) results for a PBEsol-optimized structure of KAlSb3.

Structure (extended XYZ):
```
5
Lattice="5.6638 0.0000 0.0000 0.0000 5.6638 0.0000 0.0000 0.0000 5.6638" Properties=species:S:1:pos:R:3 pbc="T T T"
K 0.0000 0.0000 0.0000
Al 2.8319 2.8319 2.8319
Sb 0.0000 0.0000 2.8319
Sb 0.0000 2.8319 0.0000
Sb 2.8319 0.0000 0.0000
```

Summary:
total magnetic moment: 0.0 μB per cell
volume: 182 Å³/f.u.
formation energy (no corrections): 7.24 eV per formula unit

***

| no. | electronic total energy (eV for the cell shown) | density (g/cm3) |
*/

**Written answer:**
DFT (SCAN) results for a PBEsol-optimized structure of Sr3Li.

Structure (extended XYZ):
```
8
Lattice="6.5016 0.0000 0.0000 0.0000 7.8995 0.0000 0.0000 0.0000 7.0699" Properties=species:S:1:pos:R:3 pbc="T T T"
Sr 1.6254 0.0102 1.1072
Sr 1.6254 3.9395 1.1072
Sr 1.6254 5.9246 4.5224
Sr 4.8762 1.9749 2.5476
Sr 4.8762 3.9600 5.9627
Sr 4.8762 7.8893 5.9627
Li 1.6254 1.9749 4.7763
Li 4.8762 5.9246 2.2936
```

Summary:
total magnetic moment: 0.6 μB per cell
E above lowest polymorph: 55 meV/atom
volume: 182 Å³/f.u.

***

DFT (SCAN) results for a PBEsol-optimized structure of Ir2Rh.

Structure (extended XYZ):
```
12
Lattice="5.3882 0.0000 0.0000 0.0000 3.8132 0.0000 0.0000 0.0000 8.0827" Properties=species:S:1:pos:R:3 pbc="T T T"
Ir 0.6746 0.9533 0.6727
Ir 0.6763 0.9533 6.0767
Ir 2.0178 2.8599 2.0354
Ir 2.0195 2.8599 4.7141
Ir 3.3688 0.9533 3.3686
Ir 3.3704 0.9533 6.0473
Ir 4.7119 2.8599 2.0060
Ir 4.7136 2.8599 7.4099
Rh 0.6723 0.9533 3.3543
Rh 2.0218 2.8599 7.3956
Rh 3.3664 0.9533 0.6870
Rh 4.7160 2.8599 4.7284
```

Summary:
total magnetic moment: 0.0 μB per cell
E above lowest polymorph: 7 meV/atom
volume: 42 Å³/f.u.

***

DFT (SCAN) results for a PBEsol-optimized structure of InCuRh.

Structure (extended XYZ):
```
3
Lattice="4.2322 0.0000 0.0000 -2.1161 3.6652 0.0000 0.0000 0.0000 2.9037" Properties=species:S:1:pos:R:3 pbc="T T T"
In 0.0000 0.0000 0.0000
Cu 2.1161 1.2217 0.7084
Rh 0.0000 2.4435 1.6689
```

Summary:
total magnetic moment: 0.0 μB per cell
E above lowest polymorph: 37 meV/atom
volume: 45 Å³/f.u.

***

DFT (SCAN) results for a PBEsol-optimized structure of HoCuSn.

Structure (extended XYZ):
```
6
Lattice="4.4604 0.0000 0.0000 -2.2302 3.8628 0.0000 0.0000 0.0000 7.1136" Properties=species:S:1:pos:R:3 pbc="T T T"
Ho 0.0000 0.0000 0.0000
Ho 0.0000 0.0000 3.5568
Cu 0.0000 2.5752 1.2548
Cu 2.2302 1.2876 4.8116
Sn 0.0000 2.5752 5.4723
Sn 2.2302 1.2876 1.9155
```

Summary:
total magnetic moment: 0.0 μB per cell
volume: 61 Å³/f.u.

***

DFT (SCAN) results for a PBEsol-optimized structure of FeMoRh2.

Structure (extended XYZ):
```
4
Lattice="2.6855 0.0000 0.0000 0.0000 3.7164 0.0000 0.0000 0.0000 5.3455" Properties=species:S:1:pos:R:3 pbc="T T T"
Fe 0.0000 0.0000 0.0000
Mo 0.0000 0.0000 2.6727
Rh 1.3427 1.8582 1.2974
Rh 1.3427 1.8582 4.0480
```

Summary:
total magnetic moment: 2.8 μB per cell
E above lowest polymorph: 12 meV/atom
volume: 53 Å³/f.u.

***

DFT (SCAN) results for a PBEsol-optimized structure of YAl2Sb.

Structure (extended XYZ):
```
4
Lattice="0.0000 3.5602 3.5602 3.5602 0.0000 3.5602 3.5602 3.5602 0.0000" Properties=species:S:1:pos:R:3 pbc="T T T"
Y 0.0000 0.0000 0.0000
Al 1.7801 1.7801 1.7801
Al 3.5602 3.5602 3.5602
Sb 5.3403 5.3403 5.3403
```

Summary:
total magnetic moment: 0.0 μB per cell
volume: 90 Å³/f.u.
formation energy (no corrections): -0.40 eV per formula unit

***

DFT (SCAN) results for a PBEsol-optimized structure of CdIn2Te4.

Structure (extended XYZ):
```
7
Lattice="-3.1111 3.1111 6.1992 3.1111 -3.1111 6.1992 3.1111 3.1111 -6.1992" Properties=species:S:1:pos:R:3 pbc="T T T"
Cd 0.0000 0.0000 0.0000
In 0.0000 0.0000 6.1992
In 0.0000 3.1111 3.0996
Te 1.7319 -1.3619 4.4689
Te 1.7492 1.3792 1.7303
Te 1.3792 4.4730 -1.7303
Te 1.3619 1.7319 7.9295
```

Summary:
total magnetic moment: 0.0 μB per cell
volume: 240 Å³/f.u.
formation energy (no corrections): -2.87 eV per formula unit

***

DFT (SCAN) results for a PBEsol-optimized structure of KAlSb3.

Structure (extended XYZ):
```
5
Lattice="5.6638 0.0000 0.0000 0.0000 5.6638 0.0000 0.0000 0.0000 5.6638" Properties=species:S:1:pos:R:3 pbc="T T T"
K 0.0000 0.0000 0.0000
Al 2.8319 2.8319 2.8319
Sb 0.0000 0.0000 2.8319
Sb 0.0000 2.8319 0.0000
Sb 2.8319 0.0000 0.0000
```

Summary:
total magnetic moment: 0.0 μB per cell
volume: 182 Å³/f.u.
formation energy (no corrections): 7.24 eV per formula unit

***

| no. | electronic total energy (eV for the cell shown) | density (g/cm3) |